Friday, March 13, 2009

Idea Clearingouse- Now- In 3D!

Been kind of a lag in posting lately- between work and other internet endeavors that kept me busy last week- will try to pick up on blog I started last Friday- before the other internet activities and frosty beverages intervened- now St. Patrick's Day and a few more frosty beverages have intervened in freeing my writer's block

Upon checking my mail last Friday- got a letter and tickets for one of those phony "Television Preview" events next Friday night in Danvers- Found it kind of odd to receive considering fact I work in the meeting presentation business (for lack of a better euphemism for hotel Audio-Visual) and have dealt with this group- and others like it- directly over the years- would be the equivalent of handing a leaflet to or sticking a clipboard in front of an anti-cult activist- It's not nearly as malicious as some other scams- basically the shows they're supposedly screening for future airing are actually a cover for the ads that are truly the focus of the audience testing- though the audience members I generally see at these look like and act like they're happy to be in a large, shiny building- and it's a true evening out for them- Don't want to be the one that ruins the fantasy on this

The funniest part of the invite to me though- was the rendition of my name as "JOSEPH GILLESPIE 3D"- Instead of the Roman numeral that generally goes after any one of the formal iterations of my full name- I just thought the way it read to me- that I was in 3D- was rather amusing to me- I guess if I were in 2D I wouldn't be enough of an active jabbroni to be getting invited to gala events like that at suburban hotels

-St. Patrick's Day reminds me that we're in the season of Lent for Catholics out there- lapsed, like myself or otherwise- Had a converstion with someone at work last week about how he was giving up booze for the 40 days while another family member of his was giving up "being difficult"- I don't think its much of a sacrifice to try and not be an asshole- especially since I like to think I try the other 325 days a year as well- except for when called for- always recall when in Catholic school- we were told we couldn't make an abstract sacrifice for Lent- had to be something tangible we had to announce to the class every year- like candy or TV viewing

-"Oh my God- the U2 show"- never something I thought I'd hear myself say during a commute home from work- anywhere- since I have never lived/ owned a car close enough to any venue they'd have played to me the last 22 years since I became a licensed driver- but I had to think that when they played that "secret" show at the Somerville Theatre in Davis Square last Wednesday- I live about a mile and a half or so from there- but usually go through the outskirts of the Davis area to drive home- thought of it and avoided area

Which reminds me of the old New England adage of "You can't get there from here"- I sometimes think the most direct and quickest way to get somewhere here is the least direct or quickest

_The piece is interrupted by materials data_
-- begin --
Diffraction record for LiVF3. The powder XRD pattern is theoretical, not measured: it uses a crystal structure in Alexandria, relaxed with PBE+U and Cu Kα (weighted mean of Kα1 and Kα2).
Kinematic intensities with the Lorentz-polarization factor, no thermal factor.

Crystal structure
```
data_LiVF3
_cell_length_a 6.152
_cell_length_b 6.152
_cell_length_c 6.152
_cell_angle_alpha 90.00
_cell_angle_beta 90.00
_cell_angle_gamma 90.00
_symmetry_space_group_name_H-M 'P 21 3'
_symmetry_Int_Tables_number 198
_symmetry_space_group_name_Hall 'P 2ac 2ab 3'
loop_
_atom_site_label
_atom_site_type_symbol
_atom_site_fract_x
_atom_site_fract_y
_atom_site_fract_z
_atom_site_occupancy
Li1 Li 0.122 0.378 0.622 1
V1 V 0.164 0.164 0.164 1
F1 F 0.009 0.727 0.628 1
```

The 8 most intense peaks (2θ from 10° to 80°), in order of falling intensity:
- 2θ 46.69, I 100, (3 0 1)
- 2θ 32.54, I 99, (2 1 0)
- 2θ 25.07, I 98, (1 1 1)
- 2θ 55.92, I 88, (3 1 2)
- 2θ 20.41, I 68, (1 1 0)
- 2θ 44.16, I 30, (2 2 1)
- 2θ 62.21, I 27, (4 0 1)
- 2θ 35.75, I 25, (2 1 1)

Diffraction record for Rb3CoF7. The powder XRD pattern is theoretical, not measured: it uses a crystal structure in Alexandria, relaxed with PBE+U and Cu Kα (weighted mean of Kα1 and Kα2).
Kinematic intensities with the Lorentz-polarization factor, no thermal factor.

Crystal structure
```
data_Rb3CoF7
_cell_length_a 7.866
_cell_length_b 8.133
_cell_length_c 6.495
_cell_angle_alpha 90.00
_cell_angle_beta 90.31
_cell_angle_gamma 90.00
_symmetry_space_group_name_H-M 'C 1 m 1'
_symmetry_Int_Tables_number 8
loop_
_symmetry_equiv_pos_as_xyz
'x,y,z'
'x,-y,z'
'x+1/2,y+1/2,z'
'x+1/2,-y+1/2,z'
loop_
_atom_site_label
_atom_site_type_symbol
_atom_site_fract_x
_atom_site_fract_y
_atom_site_fract_z
_atom_site_occupancy
Rb1 Rb 0.000 0.000 0.000 1
Rb2 Rb 0.251 0.250 0.489 1
Co1 Co 0.004 0.500 0.987 1
F1 F 0.000 0.000 0.472 1
F2 F 0.130 0.343 0.114 1
F3 F 0.150 0.500 0.772 1
F4 F 0.358 0.000 0.203 1
F5 F 0.378 0.157 0.860 1
```

The 8 most intense peaks (2θ from 10° to 80°), in order of falling intensity:
- 2θ 25.85, I 100, (0 2 1)
- 2θ 31.65, I 80, (2 2 0)
- 2θ 26.43, I 58, (2 0 -1)
- 2θ 42.48, I 48, (2 2 2)
- 2θ 27.46, I 47, (0 0 2)
- 2θ 26.56, I 44, (2 0 1)
- 2θ 52.61, I 31, (2 4 1)
- 2θ 42.30, I 29, (2 2 -2)

=====

Record 1
Starting from a structure optimized by DFT (PBE+U), the X-ray diffraction stick pattern of VAgS2O8 was simulated for a wavelength of 1.5418 Å.
Peak positions follow from Bragg's law for the DFT cell and can differ from measured ones.

Atomic structure:
```
VAgS2O8
1.0
4.1034 -2.6251 0.0000
4.1034 2.6251 0.0000
-0.1892 0.0000 7.4354
V Ag S O
1 1 2 8
Cartesian
0.0000 0.0000 0.0000
-0.0946 0.0000 3.7177
2.9326 0.0000 1.5996
5.0851 0.0000 5.8359
3.8271 1.2175 1.4560
1.9771 0.0000 0.4666
2.3262 0.0000 2.9165
4.1906 1.2175 5.9795
3.8271 -1.2175 1.4560
5.6914 0.0000 4.5190
6.0406 0.0000 6.9689
4.1906 -1.2175 5.9795
```

Most intense lines, 2θ from 10° to 90°, sorted by position:
| Position (°2θ) | I (rel.) |
-- stop --

-Was at supermarket last week- saw the new line of "Late Night" line of Doritos- which included a "Late Night Taco" flavored selection- usually, I'd resist this line of marketing to hipsters/ stoners/ young people/ whatever- but I've loved Taco-flavored Doritos since I was a kid and they merely had the brown packaging versus the pre-fucked-with Nacho Cheese-flavored ones of the late 70's/ early 80's- and have bought the occasional returns to the "Taco-flavored" name since

Anyhow- at supermarket- and put my shit on the conveyor- since there was a line behind me and an aggressive bagger at end- aside from5 my usual desire to get the hell out of there- My "Late Night Taco" Doritos were next to the 2.5-gallon container of water on top of my case of pint bottles- cashier jerks the belt- bottle falls off and crushes the "Late Night" Doritos- she asks me if I would like to take them broken or get another- I say "Forget it"- not taking time from people behind me to play a smaller version of "Supermarket Sweep" for "Late Night Taco" Doritos or taking the fucked-up bag that will likely just open up over whatever's next to it or the back of my car

-Local News Items- two items that piqued my interest- One was the 13-year-old girl from Winchester who ran away to Boston and went to a bookstore - before she was found and returned- Isn't there a larger way to rebel than to disappear downtown to read?

And the recent rash of stories where people are taking pictures/ videos of neighborhood calamities with cell-phone cameras- particulalrly the recent outbreak of gas explosions around New England on the news- where folks seemed to be doing so- as opposed to calling 911 with them or helping these folks directly?


Scott (gotankgo) said...

Bookworms get angsty too.

~~~
1.
This entry pairs a crystal structure of Er2PuCd6 with its simulated powder X-ray diffraction pattern. Radiation: CuKα. Structure: a structure optimized by DFT (GGA-PBE).
Intensities are scaled so that the largest is 100.

Atomic structure:
a b c (Å): 8.7347 8.7347 3.2883
angles (deg): 90.00 90.00 120.00
Space group P6/mmm (No. 191)
Asymmetric unit:
Er: 0.3333 0.6667 0.0000 x2
Pu: 0.0000 0.0000 0.0000 x1
Cd: 0.0000 0.3358 0.5000 x6

Peak list (12 most intense, 10 to 80 degrees two-theta, sorted by position)
11.7°, rel. 3, hkl 1 0 0
20.3°, rel. 10, hkl 1 1 0
34.1°, rel. 100, hkl 1 1 1
35.6°, rel. 85, hkl 3 0 0
41.3°, rel. 2, hkl 2 2 0
50.1°, rel. 34, hkl 2 2 1
55.7°, rel. 2, hkl 4 1 0
55.9°, rel. 8, hkl 0 0 2
63.0°, rel. 34, hkl 4 1 1
64.0°, rel. 15, hkl 3 3 0
68.1°, rel. 25, hkl 3 0 2
75.4°, rel. 9, hkl 6 0 0

2.
This entry pairs a crystal structure of NdTmAl3 with its simulated powder X-ray diffraction pattern. Radiation: CuKα. Structure: a structure optimized by DFT (GGA-PBE).
Intensities are scaled so that the largest is 100.

Atomic structure:
a b c (Å): 3.655 27.598 4.562
angles (deg): 90.00 90.00 90.00
Space group Cmcm (No. 63)
Asymmetric unit:
Nd: 0.000 0.073 0.250 x4
Tm: 0.000 0.212 0.750 x4
Al: 0.000 0.326 0.750 x4
Al: 0.000 0.378 0.250 x4
Al: 0.000 0.476 0.250 x4

Peak list (12 most intense, 10 to 80 degrees two-theta, sorted by position)
19.3°, rel. 13, hkl 0 6 0
23.4°, rel. 69, hkl 0 4 1
24.6°, rel. 13, hkl 1 1 0
25.8°, rel. 14, hkl 0 8 0
32.9°, rel. 100, hkl 1 3 1
33.4°, rel. 61, hkl 1 7 0
38.1°, rel. 41, hkl 0 10 1
39.5°, rel. 25, hkl 0 0 2
48.3°, rel. 18, hkl 1 11 1
49.9°, rel. 14, hkl 2 0 0
52.7°, rel. 34, hkl 1 7 2
64.5°, rel. 18, hkl 2 10 1

3.
This entry pairs a crystal structure of Pu2CdInO8 with its simulated powder X-ray diffraction pattern. Radiation: CuKα. Structure: a structure optimized by DFT (GGA-PBE).
Intensities are scaled so that the largest is 100.

Atomic structure:
a b c (Å): 5.340 5.340 10.605
angles (deg): 90.00 90.00 90.00
Space group I-4 (No. 82)
Asymmetric unit:
Pu: 0.000 0.000 0.000 x2
Pu: 0.000 0.500 0.250 x2
Cd: 0.000 0.000 0.500 x2
In: 0.000 0.500 0.750 x2
O: 0.214 0.731 0.113 x8
O: 0.223 0.756 0.860 x8

Peak list (12 most intense, 10 to 80 degrees two-theta, sorted by position)
18.6°, rel. 17, hkl 1 0 1
29.0°, rel. 100, hkl 1 1 2
33.6°, rel. 23, hkl 2 0 0
33.8°, rel. 11, hkl 0 0 4
38.6°, rel. 5, hkl 2 1 1
48.2°, rel. 17, hkl 2 2 0
48.4°, rel. 33, hkl 2 0 4
57.3°, rel. 30, hkl 3 1 2
57.6°, rel. 15, hkl 1 1 6
60.2°, rel. 10, hkl 2 2 4
78.0°, rel. 6, hkl 3 3 2
78.3°, rel. 12, hkl 3 1 6

4.
This entry pairs a crystal structure of Sm5Ru2Br2 with its simulated powder X-ray diffraction pattern. Radiation: CuKα. Structure: a structure optimized by DFT (GGA-PBE).
Intensities are scaled so that the largest is 100.

Atomic structure:
a b c (Å): 16.241 7.921 7.924
angles (deg): 90.00 90.00 90.00
Space group Cmce (No. 64)
Asymmetric unit:
Sm: 0.000 0.000 0.000 x4
Sm: 0.110 0.155 0.347 x16
Ru: 0.000 0.143 0.642 x8
~~~

j gillespie said...

I thought that story was kind of the equivalent of running away from the circus to join the 4th grade